Your job: write out the whole of the contents underneath character by character.

********
Molecular formula: C11H17Cl3O9P
Method: DFT, wB97M-V/def2-TZVPD

Values from the calculation:
Charge: -1
E_HOMO (eV): -5.825
LUMO level (eV): 2.0
Kohn-Sham gap (hartree): 0.2872

The geometry in XYZ format:
```
41
Properties=species:S:1:pos:R:3:lowdin_charge:R:1
Cl 1.44 5.17 0.10 0.641
P 1.01 -2.43 0.63 0.520
H -5.41 -1.58 0.89 0.067
H 0.93 1.51 -1.63 0.099
C 1.83 0.03 -0.38 -0.299
C 2.15 1.08 0.68 -0.230
C -1.74 -1.12 -0.60 -0.236
O 1.17 5.30 -1.31 -0.388
H 0.23 -2.84 2.50 0.087
H 2.66 -0.67 -0.50 0.132
C 0.54 -0.80 -0.12 -0.366
H -4.22 -0.33 0.89 0.084
C -2.97 -1.32 -1.42 -0.625
O 2.27 -2.43 1.38 -0.270
O -0.15 -2.95 1.62 -0.120
C -4.38 -1.37 0.62 -0.086
H 1.86 -4.09 -0.33 0.090
H 1.50 0.13 -2.56 0.071
O 1.12 -3.51 -0.54 -0.104
H 3.07 1.56 0.35 0.115
C -1.55 0.17 0.18 -0.388
O -0.29 0.03 0.71 0.043
H -0.49 -0.34 -2.07 0.103
H -3.66 -1.96 1.17 0.086
C 1.74 0.79 -1.72 -0.045
H 2.64 1.39 2.74 0.075
O 1.63 3.76 0.42 -0.406
C -0.38 -1.11 -1.32 -0.119
O -2.24 1.15 0.33 0.176
H 1.53 0.08 2.50 0.058
C -4.18 -1.45 -0.87 -0.725
H 3.24 -0.16 2.13 0.061
Cl -5.59 -1.72 -1.85 0.651
O 0.33 5.69 0.86 -0.381
H 2.66 1.33 -1.89 0.089
C 2.42 0.54 2.09 -0.092
H 1.42 1.88 0.72 0.079
H -1.75 -1.89 0.17 0.132
O 2.64 5.90 0.43 -0.385
H -0.26 -2.05 -1.86 0.111
Cl -2.78 -1.38 -3.15 0.694
```


H18O9 | wB97M-V/def2-TZVPD

Properties
- Frontier orbital gap: 10.6 eV
- SMILES string: O.O.O.O.O.O.O.O.O
- Energy: -18718.909 eV
- ΔE to the lowest compared entry with this formula, charge and spin: 311.3 kJ/mol
- Highest occupied orbital energy: -10.677 eV

Structure (ORCA input):
```
! RIJCOSX wB97M-V def2-TZVPD def2/J DEFGRID3
* xyz 0 1
O -0.8989 -0.2821 -0.5784
H -0.5402 -1.1764 -0.5990
H -0.1801 0.2667 -0.9119
O -1.5587 -0.3877 -3.5793
H -2.0479 -0.2712 -4.4015
H -2.2161 -0.7267 -2.9613
O -1.9621 1.6392 1.3632
H -1.6724 0.9387 1.9584
H -2.7314 1.2658 0.9184
O 3.6046 -0.1325 -0.8804
H 3.7060 -0.2795 -1.8275
H 2.8933 -0.7308 -0.6251
O -1.0456 -2.6651 -2.0958
H -1.8081 -2.3766 -2.6099
H -0.7565 -3.4716 -2.5375
O -1.4165 -3.5266 2.0752
H -0.7927 -2.7943 2.0155
H -0.9072 -4.2926 1.7874
O 0.4778 -1.6943 4.2354
H 0.2428 -2.6214 4.3545
H -0.0371 -1.4185 3.4687
O 2.2795 3.1692 -1.6578
H 3.2035 3.0802 -1.3983
H 2.3103 3.2243 -2.6196
O 0.5292 4.2729 1.6059
H 0.1498 3.5352 1.1151
H 1.1102 4.7041 0.9691
*
```

Computed Mulliken charges, given in elementary charges: number 1, O, carries -0.5890; number 2, H, carries 0.2665; number 3, H, carries 0.3030; number 4, O, carries -0.5828; number 5, H, carries 0.2940; number 6, H, carries 0.3095; number 7, O, carries -0.5816; number 8, H, carries 0.2928; number 9, H, carries 0.2957; number 10, O, carries -0.6160; number 11, H, carries 0.3174; number 12, H, carries 0.2988; number 13, O, carries -0.5397; number 14, H, carries 0.2681; number 15, H, carries 0.2787; number 16, O, carries -0.6039; number 17, H, carries 0.2576; number 18, H, carries 0.3264; number 19, O, carries -0.6115; number 20, H, carries 0.3548; number 21, H, carries 0.2732; number 22, O, carries -0.6133; number 23, H, carries 0.3139; number 24, H, carries 0.3046; number 25, O, carries -0.6352; number 26, H, carries 0.2982; number 27, H, carries 0.3202

H18O9 | wB97M-V/def2-TZVPD

Properties
- Frontier orbital gap: 10.3 eV
- SMILES string: O.O.O.O.O.O.O.O.O
- Energy: -18719.674 eV
- ΔE to the lowest compared entry with this formula, charge and spin: 237.5 kJ/mol
- Highest occupied orbital energy: -10.390 eV

Structure (ORCA input):
```
! RIJCOSX wB97M-V def2-TZVPD def2/J DEFGRID3
* xyz 0 1
O -2.5970 0.3401 -2.2489
H -3.0601 -0.0744 -2.9857
H -2.3847 -0.3900 -1.6485
O 2.1342 2.1273 -0.3695
H 2.5533 2.1578 0.4932
H 1.8515 3.0353 -0.5265
O -0.5972 0.6825 0.3657
H -0.4565 0.1044 -0.3911
H 0.2910 0.9786 0.6113
O -0.7498 -2.2388 -3.5025
H -0.0245 -2.8570 -3.3523
H -0.8456 -1.7619 -2.6682
O -2.9825 1.3956 1.5818
H -2.7145 1.8754 2.3707
H -2.1502 1.2559 1.0740
O 2.4586 -0.3924 1.8518
H 2.8412 -0.5582 0.9787
H 3.0930 0.1827 2.2940
O 1.2787 -3.0938 -0.3384
********

Molecular formula: C11H17Cl3O9P
Method: DFT, wB97M-V/def2-TZVPD

Values from the calculation:
Charge: -1
E_HOMO (eV): -5.825
LUMO level (eV): 2.0
Kohn-Sham gap (hartree): 0.2872

The geometry in XYZ format:
```
41
Properties=species:S:1:pos:R:3:lowdin_charge:R:1
Cl 1.44 5.17 0.10 0.641
P 1.01 -2.43 0.63 0.520
H -5.41 -1.58 0.89 0.067
H 0.93 1.51 -1.63 0.099
C 1.83 0.03 -0.38 -0.299
C 2.15 1.08 0.68 -0.230
C -1.74 -1.12 -0.60 -0.236
O 1.17 5.30 -1.31 -0.388
H 0.23 -2.84 2.50 0.087
H 2.66 -0.67 -0.50 0.132
C 0.54 -0.80 -0.12 -0.366
H -4.22 -0.33 0.89 0.084
C -2.97 -1.32 -1.42 -0.625
O 2.27 -2.43 1.38 -0.270
O -0.15 -2.95 1.62 -0.120
C -4.38 -1.37 0.62 -0.086
H 1.86 -4.09 -0.33 0.090
H 1.50 0.13 -2.56 0.071
O 1.12 -3.51 -0.54 -0.104
H 3.07 1.56 0.35 0.115
C -1.55 0.17 0.18 -0.388
O -0.29 0.03 0.71 0.043
H -0.49 -0.34 -2.07 0.103
H -3.66 -1.96 1.17 0.086
C 1.74 0.79 -1.72 -0.045
H 2.64 1.39 2.74 0.075
O 1.63 3.76 0.42 -0.406
C -0.38 -1.11 -1.32 -0.119
O -2.24 1.15 0.33 0.176
H 1.53 0.08 2.50 0.058
C -4.18 -1.45 -0.87 -0.725
H 3.24 -0.16 2.13 0.061
Cl -5.59 -1.72 -1.85 0.651
O 0.33 5.69 0.86 -0.381
H 2.66 1.33 -1.89 0.089
C 2.42 0.54 2.09 -0.092
H 1.42 1.88 0.72 0.079
H -1.75 -1.89 0.17 0.132
O 2.64 5.90 0.43 -0.385
H -0.26 -2.05 -1.86 0.111
Cl -2.78 -1.38 -3.15 0.694
```


H18O9 | wB97M-V/def2-TZVPD

Properties
- Frontier orbital gap: 10.6 eV
- SMILES string: O.O.O.O.O.O.O.O.O
- Energy: -18718.909 eV
- ΔE to the lowest compared entry with this formula, charge and spin: 311.3 kJ/mol
- Highest occupied orbital energy: -10.677 eV

Structure (ORCA input):
```
! RIJCOSX wB97M-V def2-TZVPD def2/J DEFGRID3
* xyz 0 1
O -0.8989 -0.2821 -0.5784
H -0.5402 -1.1764 -0.5990
H -0.1801 0.2667 -0.9119
O -1.5587 -0.3877 -3.5793
H -2.0479 -0.2712 -4.4015
H -2.2161 -0.7267 -2.9613
O -1.9621 1.6392 1.3632
H -1.6724 0.9387 1.9584
H -2.7314 1.2658 0.9184
O 3.6046 -0.1325 -0.8804
H 3.7060 -0.2795 -1.8275
H 2.8933 -0.7308 -0.6251
O -1.0456 -2.6651 -2.0958
H -1.8081 -2.3766 -2.6099
H -0.7565 -3.4716 -2.5375
O -1.4165 -3.5266 2.0752
H -0.7927 -2.7943 2.0155
H -0.9072 -4.2926 1.7874
O 0.4778 -1.6943 4.2354
H 0.2428 -2.6214 4.3545
H -0.0371 -1.4185 3.4687
O 2.2795 3.1692 -1.6578
H 3.2035 3.0802 -1.3983
H 2.3103 3.2243 -2.6196
O 0.5292 4.2729 1.6059
H 0.1498 3.5352 1.1151
H 1.1102 4.7041 0.9691
*
```

Computed Mulliken charges, given in elementary charges: number 1, O, carries -0.5890; number 2, H, carries 0.2665; number 3, H, carries 0.3030; number 4, O, carries -0.5828; number 5, H, carries 0.2940; number 6, H, carries 0.3095; number 7, O, carries -0.5816; number 8, H, carries 0.2928; number 9, H, carries 0.2957; number 10, O, carries -0.6160; number 11, H, carries 0.3174; number 12, H, carries 0.2988; number 13, O, carries -0.5397; number 14, H, carries 0.2681; number 15, H, carries 0.2787; number 16, O, carries -0.6039; number 17, H, carries 0.2576; number 18, H, carries 0.3264; number 19, O, carries -0.6115; number 20, H, carries 0.3548; number 21, H, carries 0.2732; number 22, O, carries -0.6133; number 23, H, carries 0.3139; number 24, H, carries 0.3046; number 25, O, carries -0.6352; number 26, H, carries 0.2982; number 27, H, carries 0.3202

H18O9 | wB97M-V/def2-TZVPD

Properties
- Frontier orbital gap: 10.3 eV
- SMILES string: O.O.O.O.O.O.O.O.O
- Energy: -18719.674 eV
- ΔE to the lowest compared entry with this formula, charge and spin: 237.5 kJ/mol
- Highest occupied orbital energy: -10.390 eV

Structure (ORCA input):
```
! RIJCOSX wB97M-V def2-TZVPD def2/J DEFGRID3
* xyz 0 1
O -2.5970 0.3401 -2.2489
H -3.0601 -0.0744 -2.9857
H -2.3847 -0.3900 -1.6485
O 2.1342 2.1273 -0.3695
H 2.5533 2.1578 0.4932
H 1.8515 3.0353 -0.5265
O -0.5972 0.6825 0.3657
H -0.4565 0.1044 -0.3911
H 0.2910 0.9786 0.6113
O -0.7498 -2.2388 -3.5025
H -0.0245 -2.8570 -3.3523
H -0.8456 -1.7619 -2.6682
O -2.9825 1.3956 1.5818
H -2.7145 1.8754 2.3707
H -2.1502 1.2559 1.0740
O 2.4586 -0.3924 1.8518
H 2.8412 -0.5582 0.9787
H 3.0930 0.1827 2.2940
O 1.2787 -3.0938 -0.3384